Coco Chow.
ICYMI: Moved by some random irritation or compulsion, Trump pushed out this post on his inaptly named “Truth Social” site:
Moronic. Insane. Barely literate. But, as the New Yorker’s Susan Glasser points out, the rant reflects Trump’s fixation with McConnell.

== Misplaced records of crystals ==
____________
# 1
This record from Alexandria via LeMat-Bulk describes crystalline LaPr2DyS4 at its relaxed geometry. The functional is GGA-PBE.

Values from the calculation:
Density of states at the Fermi level = 4.8 states/eV/f.u.
Uncorrected energy = -52.0 eV/cell

Structure (POSCAR):
```
LaPr2DyS4
1.0
7.063 0.000 0.000
0.000 4.031 0.000
-2.309 0.000 6.701
La Pr Dy S
1 2 1 4
Cartesian
0.000 0.000 0.000
2.377 0.000 3.351
3.532 2.016 0.000
-1.154 2.016 3.351
-0.026 0.000 4.933
1.130 2.016 1.729
3.625 2.016 4.973
4.780 0.000 1.769
```


# 2
This record from Alexandria via LeMat-Bulk describes crystalline MgRePb2 at its relaxed geometry. The functional is GGA-PBE.

Values from the calculation:
Energy of formation from the pure elements = 0.57 eV/atom
Density of states at the Fermi level = 3.9 states/eV/f.u.

Structure (POSCAR):
```
MgRePb2
1.0
3.214 0.000 0.000
0.000 3.214 0.000
0.000 0.000 9.112
Mg Re Pb
1 1 2
Cartesian
0.000 0.000 0.000
1.607 1.607 7.507
0.000 0.000 5.591
1.607 1.607 2.394
```


# 3
This record from Alexandria via LeMat-Bulk describes crystalline TmPdF5 at its relaxed geometry. The functional is GGA-PBE.

Values from the calculation:
Uncorrected energy = -38.9 eV/cell

Structure (POSCAR):
```
TmPdF5
1.0
4.289 0.000 0.000
-1.698 5.054 0.000
-0.955 -0.527 5.656
Tm Pd F
1 1 5
Cartesian
0.000 0.000 0.000
-1.327 2.263 2.828
-0.934 1.301 4.535
-0.014 1.097 1.857
2.145 0.000 0.000
1.650 3.429 3.798
2.570 3.225 1.121
```


# 4
This record from Alexandria via LeMat-Bulk describes crystalline NbCdRh at its relaxed geometry. The functional is GGA-PBE.

Values from the calculation:
Energy of formation from the pure elements = -0.29 eV/atom
Density of states at the Fermi level = 1.7 states/eV/f.u.

Structure (POSCAR):
```
NbCdRh
1.0
3.249 0.000 0.000
0.000 3.249 0.000
0.000 0.000 10.126
Nb Cd Rh
2 2 2
Cartesian
0.812 0.812 0.884
2.437 2.437 9.243
0.812 0.812 4.054
2.437 2.437 6.072
0.812 0.812 7.847
2.437 2.437 2.279
```


# 5
This record from Alexandria via LeMat-Bulk describes crystalline LaTbCBr at its relaxed geometry. The functional is GGA-PBE.

Values from the calculation:
Density of states at the Fermi level = 2.2 states/eV/f.u.
Uncorrected energy = -24.1 eV/cell

Structure (POSCAR):
```
LaTbCBr
1.0
1.881 1.086 7.505
-1.881 1.086 7.505
0.000 -2.173 7.505
La Tb C Br
1 1 1 1
Cartesian
0.000 0.000 0.000
0.000 0.000 4.773
0.000 0.000 13.513
0.000 0.000 17.577
```


# 6
This record from Alexandria via LeMat-Bulk describes crystalline Y2CuHg at its relaxed geometry. The functional is GGA-PBE.

Values from the calculation:
Energy of formation from the pure elements = -0.33 eV/atom
Density of states at the Fermi level = 2.7 states/eV/f.u.

Structure (POSCAR):
```
Y2CuHg
1.0
3.761 0.000 0.000
0.000 4.723 0.000
-1.023 0.000 5.459
Y Cu Hg
2 1 1
Cartesian
0.000 0.000 0.000
0.196 2.362 3.052
1.909 2.362 0.629
1.998 0.000 2.440
```


1.
# Ba3Nd2HoSe6

Ba3Nd2HoSe6 after structural relaxation (PBE, Alexandria).

Geometry as POSCAR:
```
Ba3Nd2HoSe6
1.0
____________
== The records of crystals stop here ==

And lest there was any doubt about the depth of Trump’s obsession, a spox for the ex-president amplified it in a statement:
“Mitch McConnell is killing the Republican Party through weakness and cowardice,” spokesman Taylor Budowich wrote in a statement. “He obviously has a political death wish for himself and Republican Party, but President Trump and the America First champions in Congress will save the Republican Party and our nation.”
I understand the inclination to just ignore this, I really do. Another petty, vindictive, vulgar, racist tirade from Mar-a-Lago.
Been there done that. Old news. Don’t amplify it. Ignore him.
At this point, it seems reasonable to be bored, even numbed by the redundancy of the former guy’s bigoted fetishes. Except, of course, for the fact that he remains the near-prohibitive frontrunner to be his party’s nominee for president.
For the moment, let’s leave aside how bizarre (and yet so very, very much on brand) it is for Trump to lash out at the Republican leader in the midst of a tensely fought midterm election campaign. And, let’s pass over (for now) the rich irony of the fact that McConnell whiffed on his chance to rid himself (and us) of this cancerous boil during Trump’s second impeachment trial.
Instead, let’s take a moment to consider the fact that the former and perhaps future president (1) seems to be making a death threat against McConnell, and (2) used a crude racist nickname to lash out at the GOP leader’s wife, Elaine Chao, “his China loving wife, Coco Chow!” (BTW: This was the second time in a week that Trump had referred to Chao as “Coco.”)
This country has a long history of anti-Chinese bigotry and scapegoating. But seldom, if ever, has it come in this raw form from a former occupant of the White House. (This is not, of course, the first time that Trump has mocked Asians, or ridiculed their accents.)
So consider as well, (3) the refusal of Republican elected officials — even McConnell allies — to push back against Trump’s slur in any meaningful way, by which I mean, in any way at all.
Alexa, define pusillanimity:

**Inserted here: records of crystals**
DFT (PBE) results for a geometry-optimized Li2CoAu structure.

Density = 7.37 Mg/m³
Energy of formation from the pure elements = 0.112 eV/atom
DOS at the Fermi energy = 0.82 states/eV per atom
Crystal system = trigonal
Electronic total energy = -13.8 eV per cell

a b c (Å): 9.323 9.323 9.323
angles (deg): 17.06 17.06 17.06
Positions (direct):
Li (0.000, 0.000, 0.000)
Li (0.237, 0.237, 0.237)
Co (0.742, 0.742, 0.742)
Au (0.491, 0.491, 0.491)

~~~~~

VASP calculation (SCAN) on a PBEsol-optimized structure of SiPt2Se.

Cell: 8.007 8.007 8.007 Å, 147.95 147.95 45.95°
Element x y z (fractional)
Si1 0.000 0.000 0.000
Si2 0.750 0.250 0.500
Pt1 0.095 0.625 0.970
Pt2 0.375 0.345 0.470
Pt3 0.655 0.125 0.030
Pt4 0.875 0.905 0.530
Se1 0.250 0.750 0.500
Se2 0.500 0.500 0.000

formation energy (no corrections): -93 kJ/mol of formula units
SG: No. 122
N(E_F): 0.3492 states/eV per atom
distance to the lowest polymorph of the same formula: 61 meV/atom


VASP calculation (SCAN) on a PBEsol-optimized structure of SiPtSe4.

Cell: 5.482 5.482 5.482 Å, 60.00 60.00 60.00°
Element x y z (fractional)
Si1 0.000 0.000 0.000
Pt1 0.250 0.250 0.250
Se1 0.130 0.623 0.623
Se2 0.623 0.130 0.623
Se3 0.623 0.623 0.130
Se4 0.623 0.623 0.623

formation energy (no corrections): 682 kJ/mol of formula units
SG: No. 216
N(E_F): 0.8894 states/eV per atom


VASP calculation (SCAN) on a PBEsol-optimized structure of SiPtSe.

Cell: 3.612 5.651 5.651 Å, 27.94 90.00 90.00°
Element x y z (fractional)
Si1 0.000 0.000 0.000
Pt1 0.500 0.413 0.413
Se1 0.000 0.215 0.215

formation energy (no corrections): -104 kJ/mol of formula units
SG: No. 38
N(E_F): 0.2758 states/eV per atom


VASP calculation (SCAN) on a PBEsol-optimized structure of Si2PtSe.

Cell: 9.460 9.460 9.460 Å, 17.58 17.58 17.58°
Element x y z (fractional)
Si1 0.000 0.000 0.000
Si2 0.262 0.262 0.262
Pt1 0.532 0.532 0.532
Se1 0.780 0.780 0.780

formation energy (no corrections): 108 kJ/mol of formula units
SG: No. 160
N(E_F): 0.4356 states/eV per atom


VASP calculation (SCAN) on a PBEsol-optimized structure of SiPt2Se.

Cell: 4.432 4.432 4.432 Å, 60.00 60.00 60.00°
Element x y z (fractional)
Si1 0.000 0.000 0.000
Pt1 0.250 0.250 0.250
Pt2 0.750 0.750 0.750
Se1 0.500 0.500 0.500

formation energy (no corrections): 43 kJ/mol of formula units
SG: No. 225
N(E_F): 0.3351 states/eV per atom
distance to the lowest polymorph of the same formula: 415 meV/atom


VASP calculation (SCAN) on a PBEsol-optimized structure of Si2PtSe.

Cell: 5.907 5.907 5.907 Å, 153.06 134.24 53.91°
Element x y z (fractional)
Si1 0.209 0.209 0.000
Si2 0.791 0.791 0.000
Pt1 0.000 0.500 0.500
Se1 0.500 0.000 0.500

formation energy (no corrections): 102 kJ/mol of formula units
SG: No. 71
N(E_F): 0.3848 states/eV per atom


VASP calculation (SCAN) on a PBEsol-optimized structure of SiPt2Se.

Cell: 6.624 6.624 6.624 Å, 32.52 32.52 32.52°
Element x y z (fractional)
Si1 0.000 0.000 0.000
Pt1 0.469 0.469 0.469
Pt2 0.712 0.712 0.712
Se1 0.198 0.198 0.198
**Back to the article**

Scott actually had several cracks at doing the right thing, and ducked each time. On CBS on Sunday, Face the Nation host Margaret Brennan pressed Scott on Trump’s statement, as well as Marjorie Taylor Greene’s declaration that “Democrats want Republicans dead. They’ve already started the killings.” Via Axios:
“I didn’t see what she said," Scott said of ‘the killings’ comment, which came during a rally for Trump on Saturday night.” Here’s the bit Scott says he missed:

/*
No. 1
Compound: TcRuWI2
Source: Alexandria via LeMat-Bulk
Functional: PBE
Structure: relaxed

Values from the calculation:
Total energy ... -5.046 eV/atom

Structure (POSCAR):
```
TcRuWI2
1.0
5.346 0.000 0.000
0.000 4.868 0.000
0.000 0.000 5.346
I Ru Tc W
2 1 1 1
direct
0.000 0.000 0.500
0.500 0.000 0.000
0.500 0.500 0.500
0.000 0.500 0.000
0.000 0.000 0.000
```

No. 2
Compound: La8PrDy4
Source: Alexandria via LeMat-Bulk
Functional: PBE
Structure: relaxed

Values from the calculation:
Total energy ... -4.667 eV/atom
E_form ... 149 meV/atom

Structure (POSCAR):
```
La8PrDy4
1.0
6.456 0.000 -3.483
-4.167 6.037 -0.001
1.543 1.066 10.585
La Pr Dy
8 1 4
direct
0.576 0.788 0.364
0.424 0.212 0.636
0.492 0.246 0.291
0.955 0.201 0.709
0.508 0.754 0.709
0.955 0.754 0.709
0.045 0.246 0.291
0.045 0.799 0.291
0.000 0.500 0.500
0.000 0.000 0.000
0.000 0.500 0.000
0.500 0.500 0.000
0.500 0.000 0.000
```

No. 3
Compound: K2Pb2Au15
Source: Alexandria via LeMat-Bulk
Functional: PBE
Structure: relaxed

Values from the calculation:
Total energy ... -3.208 eV/atom
E_form ... -115 meV/atom

Structure (POSCAR):
```
K2Pb2Au15
1.0
-5.058 5.134 1.928
-1.677 -3.193 6.531
4.781 4.133 3.965
K Pb Au
2 2 15
direct
0.354 0.354 0.354
0.646 0.646 0.646
0.105 0.105 0.105
0.895 0.895 0.895
0.500 0.000 0.000
0.000 0.000 0.500
0.000 0.500 0.000
0.000 0.674 0.326
0.674 0.326 0.000
0.326 0.000 0.674
0.326 0.674 0.000
0.674 0.000 0.326
0.000 0.326 0.674
0.168 0.659 0.659
0.659 0.659 0.168
0.659 0.168 0.659
0.832 0.341 0.341
0.341 0.341 0.832
0.341 0.832 0.341
```

No. 4
Compound: NaNbCd2H
Source: Alexandria via LeMat-Bulk
Functional: PBE
Structure: relaxed

Values from the calculation:
Total energy ... -1.474 eV/atom

Structure (POSCAR):
```
NaNbCd2H
1.0
5.071 0.000 0.000
0.000 5.121 0.000
0.000 0.000 5.071
Na Nb H Cd
1 1 1 2
direct
0.000 0.000 0.000
0.000 0.500 0.000
0.500 0.500 0.500
0.000 0.000 0.500
0.500 0.000 0.000
```

No. 5
Compound: LiTlF2
Source: Alexandria via LeMat-Bulk
Functional: PBE
Structure: relaxed

Values from the calculation:
Total energy ... -3.906 eV/atom
Energy above the lowest structure with this stoichiometry ... 407 meV/atom

Structure (POSCAR):
```
LiTlF2
1.0
-2.481 0.958 3.607
-4.350 0.969 -0.466
-3.106 -2.902 1.417
Tl Li F
1 1 2
direct
0.500 0.500 0.500
0.000 0.000 0.000
0.250 0.250 0.250
0.750 0.750 0.750
```

No. 6
Compound: PmInMo
Source: Alexandria via LeMat-Bulk
Functional: PBE
Structure: relaxed

Values from the calculation:
Total energy ... -6.025 eV/atom
E_form ... 81 meV/atom

Structure (POSCAR):
```
PmInMo
1.0
-0.641 3.859 -0.761
-2.348 0.290 3.514
10.666 -3.850 2.067
Mo In Pm
2 2 2
direct
0.112 0.820 0.079
0.888 0.180 0.921
*/
The records of crystals stop here >

On Face the Nation, Brennan kept pushing Scott about Trump’s rant:
“What I quoted you is a phrase saying McConnell has a death wish. He said racist things about Elaine Chao. And then, ‘they have already started the killings.’ I mean, that's not a policy dispute, Senator, the language is what I’m talking about. Isn’t that dangerous?” Brennan asked.
Scott dodged, offering up this word-salad:
“I think we all have to figure out how do we start bringing people together and have a common goal to give every American the opportunity to get a great job, their kids to have an education, they believe they can be anything and make sure everybody lives in a safe community. That’s what I do every day. And I’ve tried to bring people together to do that,” Scott replied.
Brennan pressed again. “And you would agree that that language doesn’t bring people together?” she asked. Scott deflected . . . again.
“I believe what the President Trump was talking about is the fact that we can’t keep spending money. We are — we’re going to hurt our poorest families the most with this reckless, Democrat spending and we cannot, we got to stop it. We can’t cave into their spending,” Scott said.
Brennan corrected Scott, pointing out the very specific, very racist term that Trump had used to refer to McConnell’s wife.
“Okay. That’s not what the former president said,” she said. “And Coco Chow was the phrase he used to refer to a former cabinet secretary, Elaine Chao.”
Confronted with the actual slur, Scott brushed it off as a cute “nickname.”
“He look — he likes for, you know, he gives people nicknames. I’m sure he has a nickname for me. Alright. So you can ask him what he means by his nicknames. What I — what I want to make sure I hit what I can do. I can try my best to bring people together and I’m gonna try to bring people together,” Scott responded.
Because, of course.
Scott, who leads the Senate GOP’s campaign arm, did eventually say: “It’s never, ever OK to be a racist,” but obviously that’s not true, because Scott is definitely OK with Trump and his racism.
For Republicans like Scott, this is no longer even a struggle. Long ago, they accepted the random insults, the threats, and the racism. Charlottesville, Muslim bans, birtherism, the mockery of the disabled and the wives of opponents, “shithole countries” — they swallowed it all.
Why would they stop now, when there is an election to win?
Exit take:

The Useful Idiots of CPAC
Over the weekend, CPAC tweeted and then deleted a statement parroting Putin’s view of ‘Ukraine-occupied territories’ while criticizing what it called American “gift-giving to Ukraine.”
The image of the Russian flag next to Ukraine’s was an interesting touch.
The timing was revealing, coming just after Putin’s unhinged in-the-bunker speech, and as we got even more evidence of Russian war crimes.
Perhaps, that was why CPAC quickly pulled the tweet, but the group offered up this bullshit excuse:
CPAC chairman Matt Schlapp on Saturday said the tweet did not clear the normal approval process because he was traveling for a conference in Australia. “Due to my travel into a distant time zone it was never approved per usual,” he said in a text message.
In fact, the tweet itself was consistent with the MAGA Right’s pro-Putinism, which we have documented here, here, here, and here.
But the incident was a reminder that the oleaginous Matt Schlapp not only lacks the courage of his own convictions, but, apparently, also lacks the courage of the fasci convictions of his latest incarnation.
Senate warnings for Democrats
Democrats are facing fresh problems in two pivotal Senate battlegrounds in which their nominees are facing attacks for being too progressive.
What's happening: In Wisconsin, GOP Sen. Ron Johnson has pulled ahead of Democrat Mandela Barnes in the latest wave of public polls. In Pennsylvania, recent polling suggests Democrat John Fetterman's double-digit advantage over Republican Mehmet Oz has shrunk to a statistical tie. They are vying for the seat held by retiring GOP Sen. Pat Toomey.
Why it matters: The Republican momentum in both states, acknowledged by strategists on both sides, means the pathway for Republicans to win back the Senate majority looks clearer.
If they hold Wisconsin and Pennsylvania — along with all the states Trump carried — Republicans would need to unseat just one Democratic incumbent.
Michael Fanone is not all out of F’s to give
You really have to read this epic piece in Rolling Stone: “Michael Fanone Is Not Your Fucking Hero.”
It’s pure poetry.
Like, fuck, for instance, the 21 House Republicans who voted against awarding the Congressional Gold Medal to officers who defended the Capitol on Jan. 6.
Well, when Fanone got a load of that shit, he called up his friend Harry Dunn — a Capitol Police officer who had testified with Fanone during the congressional hearings in July 2021 — and the two decided to pay a little visit to every one of those House Republicans (“I was like, ‘I’ve got nothing better to do today. I’m going to go annoy some people on Capitol Hill’”).
Speaking of those visits, fuck the “fucking fat fuck” chief of staff who had the gall to ask to see Dunn’s badge that day (“I was like, ‘Here’s my badge number: One,’” says Fanone, holding up his middle finger. “I eat that shit for breakfast”).
Fuck Marjorie Taylor Greene (“Put her in the tinfoil-hat brigade”) and Andrew Clyde (“When confronted in person, he fucking folded like a fucking deck of cards”) and Matt Gaetz (“I mean, dude, there’s a constituency out there somewhere in America that elected Matt Gaetz and decided that guy somehow embodied what it is to be a real red-blooded American. A fucking pedo. I don’t get it”).
Fuck Josh Hawley. “He comes down there, flashes the sign of solidarity, riles up this fucking crowd,” Fanone says of Hawley’s actions during the insurrection. “I would’ve had more respect for him if he said, ‘Charge,’ and fucking rushed the first fucking group of police officers that he could possibly fucking find. But he didn’t. He ran like a bitch as fast as he fucking could to the closest safe room in the fucking Capitol building.”
And definitely, definitely fuck Kevin McCarthy, who, as Fanone describes in the first chapter of his memoir, Hold the Line (out Oct. 11), lied and deflected his way through a meeting with Fanone and Jan. 6 casualty Brian Sicknick’s mother — the dead man’s mother, for fuck’s sake! — as he nixed any chance of a bipartisan Jan. 6 commission because of so-called political factors.
Quick Hits
1. Kevin McCarthy’s Plan to Benghazi the Bidens
Amanda Carpenter in today’s Bulwark:
McCarthy’s plan to Benghazi the Bidens isn’t subtle. In July, he cowrote a New York Post op-ed with Reps. Jim Jordan and James Comer, the top Republicans on the Judiciary and Oversight committees, titled “We’ll investigate Bidens’ shady business dealings when Republicans take the House in November.” The placement of the op-ed was deliberate. The New York Post is where the story about Hunter Biden’s laptop controversially originated.
2. How Much Do Putin’s Annexations Really Matter?
They won’t change his calculus about using nuclear weapons, writes Ben Parker.
[To] the extent that the Putin-might-use-nukes analysis depends on the idea that Putin actually cares about the results of the referenda, it does not hold water. A man who has rigged many elections in the past and killed and jailed many political opponents, and who was ultimately responsible for instigating these sham referenda, is not going to believe that just because people “voted,” sovereignty changed.
Furthermore, there is no evidence that Putin is the kind of guy who would risk a full-on nuclear exchange over a legal distinction between land Russia had merely stolen and land it had recently claimed. This summer, when the Ukrainians struck a Russian military base in Crimea, which Russia annexed in 2014, Putin didn’t resort to nuclear weapons, even though the Crimeans had voted in a March 2014 “referendum” to join Russia and have ever since been administered as a Russian province. More to the point, Putin hardly reacted at all in April when the Ukrainians conducted a daring helicopter raid against Belgorod, a Russian city just across the border from Kharkiv. Why would Putin be more committed to the defense of Kherson and Zaporizhzhia than Belgorod?
3. How the Broken Immigration System Took a Toll on My Love for America
Don’t miss this powerful — and very personal — piece from Shay Khatiri.
Imagine living in purgatory, and your sin is coming to America. That’s how my life has been for years. I live in the United States legally, but I don’t have a legal status. I’m not here on a visa, and I’m not a resident either. I just . . . am. Technically I’m seeking political asylum, but it’s more accurate to say that I’ve given up on getting political asylum.
Amanda's piece was great, but I do have one small request, and maybe it will start a trend in journalism generally. Whenever quoting a Republican referring to the "Democrat Party," maybe publish the quote with a (sic), like "Democrat (sic) Party." These Republicans intentionally botch the term because A) They're assholes and B) They delight in the performative disrespect (see A). Democrats don't routinely misname the Republican Party, because they're not children, and they don't view their voters as petulant little schoolyard imps.
Far from ignoring Trump's latest cleansing rant, it is both appropriate and even necessary to play it up and confront the people of America with it, right between the eyes and ears.
Politics, racism, and stupidity aside -- I know, I'm asking for a lot with that -- there are blatantly obvious signs that the man is mentally ill and unstable. The problem is getting worse, not better. A parent of mine was diagnosed not so long ago with severe dementia, and Trump exhibits so many of the same behavioral tendencies. I'm no doctor, and never even played one on TV. But I know someone when I see him/her who is not in control of the self and cannot be trusted to make decisions for himself/herself any longer, much less for the nation and the world.
It is time for America to have this talk. Openly, not privately. Loudly, not in whispered tones. We simply cannot allow someone clearly and visibly mentally impaired to have control of the fate of everyone else either for being loathe to offend people or out of fear of how they will react. The stakes are way too high to sit this out, decide that it is someone else's problem to deal with directly, and assume that some way, somehow everything will work out okay in the end. It will not.